Listing =
-- begin --
Entry from the Materials Project database: a relaxed Er3P6Pd20 crystal (GGA-PBE).

Cell: 8.675 8.675 8.675 Å, 60.00 60.00 60.00°
Sites, in units of the cell vectors:
Er 0.000 0.000 0.000
Er 0.250 0.250 0.250
Er 0.750 0.750 0.750
P 0.263 0.263 0.737
P 0.263 0.737 0.263
P 0.263 0.737 0.737
P 0.737 0.263 0.263
P 0.737 0.263 0.737
P 0.737 0.737 0.263
Pd 0.000 0.000 0.345
Pd 0.000 0.000 0.655
Pd 0.000 0.345 0.000
Pd 0.000 0.345 0.655
Pd 0.000 0.655 0.000
Pd 0.000 0.655 0.345
Pd 0.152 0.616 0.616
Pd 0.345 0.000 0.000
Pd 0.345 0.000 0.655
Pd 0.345 0.655 0.000
Pd 0.384 0.384 0.384
Pd 0.384 0.384 0.848
Pd 0.384 0.848 0.384
Pd 0.616 0.152 0.616
Pd 0.616 0.616 0.152
Pd 0.616 0.616 0.616
Pd 0.655 0.000 0.000
Pd 0.655 0.000 0.345
Pd 0.655 0.345 0.000
Pd 0.848 0.384 0.384

**Space group**: Fm-3m (225)
**DFT total energy**: -5.90 eV/atom


Entry from the Materials Project database: a relaxed Er2P7Rh12 crystal (GGA-PBE).

Cell: 9.611 9.611 3.862 Å, 90.00 90.00 120.00°
Sites, in units of the cell vectors:
Er 0.333 0.667 0.249
Er 0.667 0.333 0.751
P 0.000 0.000 0.000
P 0.119 0.406 0.746
P 0.287 0.881 0.746
P 0.406 0.287 0.254
P 0.594 0.713 0.746
P 0.713 0.119 0.254
P 0.881 0.594 0.254
Rh 0.070 0.618 0.749
Rh 0.112 0.850 0.249
Rh 0.150 0.262 0.249
Rh 0.262 0.112 0.751
Rh 0.382 0.452 0.749
Rh 0.452 0.070 0.251
Rh 0.548 0.930 0.749
Rh 0.618 0.548 0.251
Rh 0.738 0.888 0.249
Rh 0.850 0.738 0.751
Rh 0.888 0.150 0.751
Rh 0.930 0.382 0.251

**Space group**: P-3 (147)
**DFT total energy**: -7.37 eV/atom


Entry from the Materials Project database: a relaxed ErP2Ru2 crystal (GGA-PBE).

Cell: 4.053 4.053 9.501 Å, 90.00 90.00 90.00°
Sites, in units of the cell vectors:
Er 0.000 0.000 0.000
Er 0.500 0.500 0.500
P 0.000 0.000 0.376
P 0.000 0.000 0.624
P 0.500 0.500 0.124
P 0.500 0.500 0.876
Ru 0.000 0.500 0.250
Ru 0.000 0.500 0.750
Ru 0.500 0.000 0.250
Ru 0.500 0.000 0.750

**Space group**: I4/mmm (139)
**DFT total energy**: -7.82 eV/atom


Entry from the Materials Project database: a relaxed ErPS crystal (GGA-PBE).

Cell: 5.320 5.274 16.600 Å, 90.00 90.00 90.00°
Sites, in units of the cell vectors:
Er 0.015 0.250 0.146
Er 0.016 0.750 0.363
Er 0.484 0.250 0.863
Er 0.485 0.750 0.646
Er 0.515 0.250 0.354
Er 0.516 0.750 0.137
Er 0.984 0.250 0.637
Er 0.985 0.750 0.854
P 0.207 0.534 0.997
P 0.207 0.966 0.997
P 0.293 0.034 0.497
P 0.293 0.466 0.497
P 0.707 0.534 0.503
P 0.707 0.966 0.503
P 0.793 0.034 0.003
P 0.793 0.466 0.003
S 0.012 0.250 0.316
S 0.015 0.750 0.189
S 0.485 0.250 0.689
S 0.488 0.750 0.816
S 0.512 0.250 0.184
S 0.515 0.750 0.311
S 0.985 0.250 0.811
S 0.988 0.750 0.684

**Space group**: Pnma (62)
**DFT total energy**: -6.25 eV/atom


Entry from the Materials Project database: a relaxed ErTl2P2Se7 crystal (GGA-PBE).

Cell: 12.533 12.533 19.204 Å, 118.86 118.86 32.87°
Sites, in units of the cell vectors:
Er 0.108 0.208 0.238
Er 0.208 0.108 0.738
Er 0.792 0.892 0.262
Er 0.892 0.792 0.762
Tl 0.163 0.191 0.019
Tl 0.191 0.163 0.519
Tl 0.461 0.522 0.122
Tl 0.478 0.539 0.378
Tl 0.522 0.461 0.622
Tl 0.539 0.478 0.878
Tl 0.809 0.837 0.481
Tl 0.837 0.809 0.981
P 0.017 0.077 0.309
P 0.077 0.017 0.809
P 0.320 0.343 0.361
P 0.343 0.320 0.861
P 0.657 0.680 0.139
P 0.680 0.657 0.639
P 0.923 0.983 0.191
P 0.983 0.923 0.691
Se 0.008 0.952 0.598
Se 0.048 0.992 0.902
Se 0.113 0.681 0.194
Se 0.126 0.662 0.393
Se 0.168 0.631 0.914
Se 0.187 0.615 0.693
Se 0.219 0.330 0.729
Se 0.236 0.289 0.405
-- stop --

Assignment =
Duplicate every line further up that contains the word "group".

Here it is =
**Space group**: Fm-3m (225)
**Space group**: P-3 (147)
**Space group**: I4/mmm (139)
**Space group**: Pnma (62)